Wanted.
Next, quote only the lines below with the word "eV" in them.

Source.
........
Entry 1:
GGA-PBE K2PrZrP3O12, optimized geometry; formation energy from the elements = -3144 meV per atom; SG = P2_13, No. 198
1.0
10.633 0.000 0.000
0.000 10.633 0.000
0.000 0.000 10.633
K Pr Zr P O
8 4 4 12 48
direct
0.071 0.071 0.071 K
0.929 0.571 0.429 K
0.429 0.929 0.571 K
0.203 0.703 0.797 K
0.797 0.203 0.703 K
0.571 0.429 0.929 K
0.703 0.797 0.203 K
0.297 0.297 0.297 K
0.924 0.424 0.076 Pr
0.076 0.924 0.424 Pr
0.424 0.076 0.924 Pr
0.576 0.576 0.576 Pr
0.853 0.853 0.853 Zr
0.147 0.353 0.647 Zr
0.353 0.647 0.147 Zr
0.647 0.147 0.353 Zr
0.542 0.751 0.881 P
0.751 0.881 0.542 P
0.381 0.958 0.249 P
0.958 0.249 0.381 P
0.251 0.619 0.458 P
0.119 0.042 0.749 P
0.458 0.251 0.619 P
0.749 0.119 0.042 P
0.249 0.381 0.958 P
0.042 0.749 0.119 P
0.881 0.542 0.751 P
0.619 0.458 0.251 P
0.124 0.338 0.018 O
0.838 0.482 0.876 O
0.851 0.220 0.025 O
0.586 0.316 0.268 O
0.268 0.586 0.316 O
0.003 0.474 0.706 O
0.280 0.975 0.351 O
0.624 0.162 0.982 O
0.525 0.649 0.780 O
0.162 0.982 0.624 O
0.482 0.876 0.838 O
0.475 0.149 0.720 O
0.414 0.816 0.232 O
0.497 0.526 0.206 O
0.206 0.497 0.526 O
0.997 0.974 0.794 O
0.975 0.351 0.280 O
0.662 0.518 0.376 O
0.780 0.525 0.649 O
0.732 0.086 0.184 O
0.914 0.684 0.768 O
0.518 0.376 0.662 O
0.720 0.475 0.149 O
0.768 0.914 0.684 O
0.474 0.706 0.003 O
0.982 0.624 0.162 O
0.684 0.768 0.914 O
0.018 0.124 0.338 O
0.026 0.294 0.503 O
0.184 0.732 0.086 O
0.503 0.026 0.294 O
0.294 0.503 0.026 O
0.376 0.662 0.518 O
0.974 0.794 0.997 O
0.025 0.851 0.220 O
0.526 0.206 0.497 O
0.794 0.997 0.974 O
0.816 0.232 0.414 O
0.086 0.184 0.732 O
0.649 0.780 0.525 O
0.316 0.268 0.586 O
0.149 0.720 0.475 O
0.706 0.003 0.474 O
0.232 0.414 0.816 O
0.220 0.025 0.851 O
0.876 0.838 0.482 O
0.351 0.280 0.975 O
0.338 0.018 0.124 O

Entry 2:
GGA-PBE MgTe2MoW2Se2S2, optimized geometry; formation energy from the elements = -459 meV per atom; SG = P3m1, No. 156; energy relative to the lowest polymorph listed for this composition = 0.43 eV/f.u.
1.0
-2.973 0.120 -1.541
1.878 -2.769 -0.194
-16.609 -13.443 30.990
Mg Te Mo W Se S
1 2 1 2 2 2
direct
0.000 0.000 0.247 Mg
0.667 0.333 0.528 Te
0.667 0.333 0.629 Te
0.667 0.333 0.353 Mo
0.333 0.667 0.107 W
0.333 0.667 0.579 W
0.667 0.333 0.062 Se
0.667 0.333 0.151 Se
0.333 0.667 0.393 S
0.333 0.667 0.312 S

Entry 3:
GGA-PBE CeB2Ir2, optimized geometry; formation energy from the elements = -718 meV per atom; SG = Fddd, No. 70
1.0
-7.022 0.758 0.764
-3.829 4.260 -2.182
-3.766 -2.793 -3.026
Ce B Ir
2 4 4
direct
0.750 0.750 0.750 Ce
0.500 0.500 0.500 Ce
0.070 0.430 0.070 B
0.820 0.180 0.820 B
0.430 0.070 0.430 B
0.180 0.820 0.180 B
0.380 0.380 0.120 Ir
0.130 0.130 0.870 Ir
0.870 0.870 0.130 Ir
0.120 0.120 0.380 Ir

| no. | mass density (g cm⁻³) |
| --- | --- |
| 1 | 3.29 |
| 2 | 4.38 |
| 3 | 12.00 |

----------

1.
This record from Materials Project describes a relaxed structure of Ce2SeN2. The functional is GGA-PBE.

Structure (extended XYZ):
```
5
Lattice="3.938 0.000 0.000 -1.969 3.411 0.000 0.000 0.000 7.010" Properties=species:S:1:pos:R:3 pbc="T T T"
Ce 0.000 2.274 2.081
Ce 1.969 1.137 4.929
Se 0.000 0.000 0.000
N 0.000 2.274 4.381
N 1.969 1.137 2.630
```

Calculated values
* formation enthalpy at 0 K: -1.815 eV/atom
* calculated total energy: -8.08 eV/atom

***

2.
This record from Materials Project describes a relaxed structure of LuZr3F15. The functional is GGA-PBE.

Structure (extended XYZ):
```
76
Lattice="8.142 0.000 0.000 -1.438 8.019 0.000 -2.878 -3.444 15.655" Properties=species:S:1:pos:R:3 pbc="T T T"
Lu 0.620 2.156 1.968
Lu -0.835 4.560 9.222
Lu 4.661 0.015 6.433
Lu 3.206 2.419 13.687
Zr -0.830 0.429 9.768
Zr 0.588 6.295 1.368
Zr 0.594 0.714 5.866
Zr -0.843 -1.008 13.707
Zr -0.861 3.124 13.117
Zr 0.585 4.857 5.304
Zr 3.241 -0.281 10.351
Zr 4.687 1.452 2.539
Zr 4.669 5.584 1.949
Zr 3.232 3.862 9.790
Zr 3.238 -1.719 14.287
Zr 4.656 4.146 5.887
F -2.899 4.012 10.017
F -1.455 5.731 2.205
F -2.198 4.352 7.508
F -3.583 2.637 15.412
F -1.502 4.373 5.096
F -2.867 2.642 12.921
F -0.551 -1.567 9.277
........

Reply.
GGA-PBE MgTe2MoW2Se2S2, optimized geometry; formation energy from the elements = -459 meV per atom; SG = P3m1, No. 156; energy relative to the lowest polymorph listed for this composition = 0.43 eV/f.u.
* formation enthalpy at 0 K: -1.815 eV/atom
* calculated total energy: -8.08 eV/atom